I also get that China is population dense. The ground zero point, a food market in Wuhan, was the perfect origin. This virus can spread from animals to humans, and this type of open market provided the opportunity to put infected animals in the middle of masses of people. I get that when this was released, the PTW didn't know what way the virus would mutate within humans, but they were confident that something would spread.
They also look to have been working on a development project for an immunization or treatment. I hear something about when a treatment or prevention is created, it is largely based on the "genus" name of the virus or bacteria that is the root cause of the illness. A true immunization couldn't be formed against it, but a close version with a fair amount of effectiveness could be based on the "genus" of the virus being released. I also get something about this was a way of being able to test the "genus" theory, and could be a big breakthrough for future diseases or illnesses.
The coronavirus is unpredictable. No one truly knew the extent of how far it would travel, or the severity of the illness. I see that they anticipated pneumonia to be as severe as it got. This virus can effect people very differently. Some people may feel like they have a bad cold, and recover on their own. They may not even get a fever. The cold resolves itself after a few days, and the person moves on. This person can then later infect others unknowingly. I see that is the situation that played out there. Someone was infected and had very mild symptoms. They didn't know to be checked, or that what they were dealing with warranted further action. This virus has been so blown up that people don't realize that you can have it and not even realize you are carrying it. The assumption is that you are in severe medical peril, but that isn't always the case.
The virus is something to watch, and something to mitigate, but why so much fear? Is the fear warranted? Is the seriousness of this worse than the Bird Flu scare, H1N1, Zika or Ebola? Why is the media obsessed with adding to the panic? Yes we need to be aware this exists, and yes we need to take precaution, but is there a bigger agenda at play?
They also look to have been working on a development project for an immunization or treatment. I hear something about when a treatment or prevention is created, it is largely based on the "genus" name of the virus or bacteria that is the root cause of the illness. A true immunization couldn't be formed against it, but a close version with a fair amount of effectiveness could be based on the "genus" of the virus being released. I also get something about this was a way of being able to test the "genus" theory, and could be a big breakthrough for future diseases or illnesses.
The coronavirus is unpredictable. No one truly knew the extent of how far it would travel, or the severity of the illness. I see that they anticipated pneumonia to be as severe as it got. This virus can effect people very differently. Some people may feel like they have a bad cold, and recover on their own. They may not even get a fever. The cold resolves itself after a few days, and the person moves on. This person can then later infect others unknowingly. I see that is the situation that played out there. Someone was infected and had very mild symptoms. They didn't know to be checked, or that what they were dealing with warranted further action. This virus has been so blown up that people don't realize that you can have it and not even realize you are carrying it. The assumption is that you are in severe medical peril, but that isn't always the case.
The virus is something to watch, and something to mitigate, but why so much fear? Is the fear warranted? Is the seriousness of this worse than the Bird Flu scare, H1N1, Zika or Ebola? Why is the media obsessed with adding to the panic? Yes we need to be aware this exists, and yes we need to take precaution, but is there a bigger agenda at play?
As I ponder the above question, I see a lot of working parts here. This looks like a VERY well played hand courtesy of the Powers That Were (PTW) as they take their last ditch effort of keep their control, and this was a plan they had devised decades ago for this exact moment (check out Dean Koontz, "The Eyes of Darkness".} Let me explain:
- Making China submissive: This bio-weapon looks to have been released in China for a few reasons. They wanted to make sure China was put in their place. China has been accumulating lots of gold in hopes of being the next controller of the financial system, and the PTW could not have that. China was also buying up real estate and companies all over the world. The PTW wanted to make sure China could not rise or become even more powerful. The PTW want China to work for them, and not rival them.
- Taking out Trump: Trump has been running on the platform of the economy and low unemployment numbers. By having supply chains broken, people not working due to closures/illness and a shaky stock market at best, his platform looks to be weaker. This also opens up attacks for the Dems. (Watch for pathways for voter fraud with all the scares as well. "When you can't beat them, cheat them.")
- Crashing Markets: When the news of this pandemic first hit media, it didn't phase markets much. As time progressed, and closures occurred, people got scared. This opened up the perfect scenario to manipulate the market and slowly crash it before the elections. Again, making Trump appear weak and leading to number 4.
- Creating Pathway to world currency: With markets crashing and less faith in the dollar, new forms of currency are being introduced. As the fed makes money to help offset the costs being endured with the hardships, the dollar is further inflated, creating even more reason for alternate forms of currency that are "backed" by something. Note: The latest rumor is that the money can be a carrier for the virus (another reason people won't want to carry it.) This leads to the cashless society to "protect us."
- Creating Pathway to social healthcare: The costs of healthcare are higher than ever. By using this crisis to shed light on the costs of healthcare, and the idealistic way free healthcare would work, people start to envision a false reality of socialized healthcare being great.
- Forced immunizations: Big pharma stands to make a TON of money off this. Not only due to manufacturing test kits, they are being paid lots to come up with an immunization.
- Test of Control - How Far Do We Allow It?: Most importantly, this is a test to see how submissive and under what circumstance people will be controlled. If you implement enough fear and scare, what will people do? I foresee a false flag looming related to "gun violence." This is the most submissive this country has been in many decades, and if they want to take the guns, this will be their opportunity, and I see them really maximizing on it.
BUT... while the PTW are working on the above, Trump along with the "white hats" see their hand, and does one better. Whether you like these people (Trump and the "white hats") or not, Trump is a smart businessman, and the white hats won't give up. They always knows what there opponents are up to, and work to combat this. It started with forced resignations, plea deals, witnesses and gathering evidence. People have even distanced themselves from the throne to get out of the spotlight. I see Trump using quarantines and grounded flights (combined with a dash of fear) to make a move on prominent people. Stay tuned. This is just getting started!
One of the most curious is the recent resurrection of a prediction by Sylvia Browne. In her 2008 book End of Days, Browne (who died in 2013) predicted that “In around [sic] 2020 a severe pneumonia-like illness will spread throughout the globe, attacking the lungs and the bronchial tubes and resisting all known treatments. Almost more baffling than the illness itself will be the fact that it will suddenly vanish as quickly as it arrived, attack again ten years later, and then disappear completely.”
How to Combat Corona
1. Special Frequency programs (Deta-Elis).
These data records were left in the piece by mistake:
~~~
Entry 1:
Computed, not measured: a relaxed Be2AsPbO8 crystal at the PBE level of DFT.

Calculated values
The total energy is -66.76 eV per cell. For the total moment, the calculation gives 0.42 μB/atom. The uncorrected formation energy comes out at -940 meV/atom.

Unit cell a=4.6635 b=4.6635 c=7.1572 alpha=90.00 beta=90.00 gamma=120.00
With the nearest neighbours (Å) after each atom.
Fractional positions:
Be  0.6667  0.3333  0.2802  4 O 1.60-1.66
Pb  0.0000  0.0000  0.0000  12 O 2.71-2.84
O  0.3198  0.2968  0.3422  1 Be 1.60
O  0.0230  0.3198  0.6578  1 Be 1.60
O  0.2968  0.9770  0.6578  1 Be 1.60
O  0.6802  0.7032  0.6578  1 Be 1.60
O  0.9770  0.6802  0.3422  1 Be 1.60
Be  0.3333  0.6667  0.7198  4 O 1.60-1.66
O  0.3333  0.6667  0.9513  1 Be 1.66
O  0.6667  0.3333  0.0487  1 Be 1.66
As  0.0000  0.0000  0.5000  6 O 1.83
O  0.7032  0.0230  0.3422  1 Be 1.60

---

Entry 2:
Computed, not measured: a relaxed PaTlCl4 crystal at the PBE level of DFT.

Calculated values
The total energy is -27.14 eV per cell. For the total moment, the calculation gives 0.33 μB/atom. The uncorrected formation energy comes out at -1316 meV/atom.

Unit cell a=8.2747 b=8.2747 c=6.8242 alpha=127.32 beta=127.32 gamma=90.00
With the nearest neighbours (Å) after each atom.
Fractional positions:
Pa  0.5000  0.5000  0.0000  4 Cl 2.61
Cl  0.4507  0.4884  0.5751  1 Pa 2.61
Cl  0.9133  0.5493  0.4249  1 Pa 2.61
Tl  0.7500  0.2500  0.5000  4 Cl 3.26
Cl  0.5116  0.8756  0.4249  1 Pa 2.61
Cl  0.1244  0.0867  0.5751  1 Pa 2.61

---

Entry 3:
Computed, not measured: a relaxed Yb3Sn13Ir4 crystal at the PBE level of DFT.

Calculated values
The total energy is -202.11 eV per cell. For the total moment, the calculation gives 0.03 μB/atom. The formation energy is -0.4498 eV per atom.

Unit cell a=9.7977 b=9.7977 c=9.7977 alpha=90.00 beta=90.00 gamma=90.00
With the nearest neighbours (Å) after each atom.
Fractional positions:
Yb  0.0000  0.7500  0.5000  12 Sn 3.44-3.46, 4 Ir 3.46
Sn  0.0000  0.6939  0.1518  2 Ir 2.69, 1 Sn 2.98
Ir  0.2500  0.7500  0.7500  6 Sn 2.69
Ir  0.7500  0.7500  0.2500  6 Sn 2.69
Sn  0.1939  0.5000  0.3482  2 Ir 2.69, 1 Sn 2.98
Ir  0.7500  0.2500  0.7500  6 Sn 2.69
Sn  0.5000  0.5000  0.5000  12 Sn 3.35
Ir  0.2500  0.2500  0.2500  6 Sn 2.69
Sn  0.3061  0.8482  0.0000  2 Ir 2.69, 1 Sn 2.98
Sn  0.0000  0.3061  0.8482  2 Ir 2.69, 1 Sn 2.98
Ir  0.7500  0.2500  0.2500  6 Sn 2.69
Ir  0.7500  0.7500  0.7500  6 Sn 2.69
Sn  0.1518  0.0000  0.6939  2 Ir 2.69, 1 Sn 2.98
Sn  0.3061  0.1518  0.0000  2 Ir 2.69, 1 Sn 2.98
Sn  0.5000  0.6518  0.1939  2 Ir 2.69, 1 Sn 2.98
Sn  0.6518  0.8061  0.5000  2 Ir 2.69, 1 Sn 2.98
Sn  0.6939  0.8482  0.0000  2 Ir 2.69, 1 Sn 2.98
Yb  0.7500  0.5000  0.0000  12 Sn 3.44-3.46, 4 Ir 3.46
Sn  0.6939  0.1518  0.0000  2 Ir 2.69, 1 Sn 2.98
Sn  0.0000  0.6939  0.8482  2 Ir 2.69, 1 Sn 2.98
Sn  0.8482  0.0000  0.3061  2 Ir 2.69, 1 Sn 2.98
Sn  0.8482  0.0000  0.6939  2 Ir 2.69, 1 Sn 2.98
Sn  0.3482  0.1939  0.5000  2 Ir 2.69, 1 Sn 2.98
~~~
2. Power Tube (Zapper).
3. The virus gets destroyed in the stomach, so rinsing with hot water and swallowing helps to reduce the severity.
4. Low power laser light devices, which cleans the blood
Next to the entry, the page also holds records of crystals
~~~
No. 1
An optimized crystal structure of Sc6TlP2S3, computed with PBE.

Summary:
- uncorrected formation energy (eV/atom) = -1.44

```
data_Sc6TlP2S3
_chemical_formula_sum 'Sc12 Tl2 P4 S6'
_space_group_name_H-M_alt 'C 1 2/m 1'
_space_group_IT_number 12
_space_group_name_Hall '-C 2y'
_cell_length_a 16.571
_cell_length_b 3.735
_cell_length_c 7.736
_cell_angle_alpha 90.00
_cell_angle_beta 103.82
_cell_angle_gamma 90.00
loop_
_atom_site_label
_atom_site_type_symbol
_atom_site_fract_x
_atom_site_fract_y
_atom_site_fract_z
_atom_site_occupancy
Sc1 Sc 0.001 0.000 0.278 1
Sc2 Sc 0.171 0.500 0.576 1
Sc3 Sc 0.176 0.500 0.098 1
Tl1 Tl 0.000 0.500 0.000 1
P1 P 0.167 0.000 0.334 1
S1 S 0.000 0.500 0.500 1
S2 S 0.166 0.000 0.830 1
```

---

No. 2
An optimized crystal structure of ScTlP2S7, computed with PBE.

Summary:
- uncorrected formation energy (eV/atom) = -0.67

```
data_ScTlP2S7
_chemical_formula_sum 'Sc2 Tl2 P4 S14'
_space_group_name_H-M_alt 'C 1 2 1'
_space_group_IT_number 5
_space_group_name_Hall 'C 2y'
_cell_length_a 8.789
_cell_length_b 10.001
_cell_length_c 6.869
_cell_angle_alpha 90.00
_cell_angle_beta 101.19
_cell_angle_gamma 90.00
loop_
_atom_site_label
_atom_site_type_symbol
_atom_site_fract_x
_atom_site_fract_y
_atom_site_fract_z
_atom_site_occupancy
Sc1 Sc 0.000 0.000 0.000 1
Tl1 Tl 0.000 0.422 0.500 1
P1 P 0.202 0.350 0.086 1
S1 S 0.000 0.475 0.000 1
S2 S 0.148 0.186 0.235 1
S3 S 0.158 0.973 0.725 1
S4 S 0.202 0.819 0.156 1
```

---

No. 3
An optimized crystal structure of TmScPS, computed with PBE.

Summary:
- uncorrected formation energy (eV/atom) = -1.70

```
data_TmScPS
_chemical_formula_sum 'Tm3 Sc3 P3 S3'
_space_group_name_H-M_alt 'R 3 m'
_space_group_IT_number 160
_space_group_name_Hall 'R 3 -2"'
_cell_length_a 3.7519
_cell_length_b 3.7519
_cell_length_c 19.6828
_cell_angle_alpha 90.00
_cell_angle_beta 90.00
_cell_angle_gamma 120.00
loop_
_atom_site_label
_atom_site_type_symbol
_atom_site_fract_x
_atom_site_fract_y
_atom_site_fract_z
_atom_site_occupancy
Tm1 Tm 0.0000 0.0000 0.0000 1
Sc1 Sc 0.0000 0.0000 0.1789 1
P1 P 0.0000 0.0000 0.5835 1
S1 S 0.0000 0.0000 0.7597 1
```

---

No. 4
An optimized crystal structure of ScUPS, computed with PBE.

Summary:
- uncorrected formation energy (eV/atom) = -1.45

```
data_ScUPS
_chemical_formula_sum 'Sc3 U3 P3 S3'
_space_group_name_H-M_alt 'R 3 m'
_space_group_IT_number 160
_space_group_name_Hall 'R 3 -2"'
_cell_length_a 3.7846
_cell_length_b 3.7846
_cell_length_c 19.0390
_cell_angle_alpha 90.00
_cell_angle_beta 90.00
_cell_angle_gamma 120.00
loop_
_atom_site_label
_atom_site_type_symbol
_atom_site_fract_x
_atom_site_fract_y
_atom_site_fract_z
_atom_site_occupancy
Sc1 Sc 0.0000 0.0000 0.0000 1
U1 U 0.0000 0.0000 0.4982 1
P1 P 0.0000 0.0000 0.7443 1
S1 S 0.0000 0.0000 0.2544 1
```

---

No. 5
An optimized crystal structure of ScVPS2, computed with PBE.

Summary:
- uncorrected formation energy (eV/atom) = 0.13
~~~
5. Ultra violet light devices
6. Colloidal Silver
7. Vitamin C in high doses
8. Miracle Mineral Supplement (MMS)
*Not useful are hand sanitizers, colloidal silver spray is much better.
Let me break down each one and give my impressions. Deta-Elis: I see this could be helpful if the person responds to the frequency. This device gives off a specific frequency, and helps to get the body back in harmony by getting the organs functioning at a healthy vibration. I get that if you chose to go this route, the organ to focus on is the liver. The liver is what needs the main support in fighting off this illness.
Power Tubes: I don't see this as effective as the Deta-Elis because it looks to be more of a neurological stimulator. Any pain or discomfort resulting from this illness looks to be caused from a muscular standpoint versus nerves.
Hydration: I see hydration helping because it keep the body flushed. If this virus enters the mouth (versus eyes) and stays there it can be absorbed into the lymph nodes. In this scenario both drinking fluids and also oil pulling (in the early stages) can be helpful. You may still experience some symptoms, but the severity looks to be lessened.
Laser Lights: I see this may support the immune system and promote it's function, but I get that other alternatives could prove being more effective.
UV Light: This looks to be a huge help. I see that UV light in general helps to boost the immune system tremendously and promotes faster recovery. UV light in general looks to help sanitize outside environments to reduce the spread in common areas (doors, mailboxes, cars, public transportation, parks, grocery carts corralled outside, etc).
Colloidal Silver: I hear a phrase that colloidal silver is "antibacterial and antimicrobial, but not necessarily antiviral." This can help you prevent getting things such as a cold, flu or sinus infection which lessens your immune system (helps you to stay strong). But, I don't necessarily see it preventing a viral attack.
Vitamin C: Vitamin C is always good. This is great way to improve your body's own defense system to combat any foreign element that made their way in.
MMS: I do see (for some people) this can be very helpful. Be cautious with this. A little can go a long way, and too much can be damaging (too strong). It does look to attack the virus, but if you use too much it can create too many toxins or byproducts of the virus being destroyed and overwork the liver.
2. Power Tube (Zapper).
3. The virus gets destroyed in the stomach, so rinsing with hot water and swallowing helps to reduce the severity.
4. Low power laser light devices, which cleans the blood
5. Ultra violet light devices
6. Colloidal Silver
7. Vitamin C in high doses
8. Miracle Mineral Supplement (MMS)
The article is interrupted by data records:
<<<
1) ## AcCdIn (GGA-PBE)

Data for an optimized crystal structure of AcCdIn.

The structure in extended XYZ format:
```
3
Lattice="0.000 3.662 3.662 3.662 0.000 3.662 3.662 3.662 0.000" Properties=species:S:1:pos:R:3 pbc="T T T"
Ac 1.831 1.831 1.831
Cd 0.000 0.000 0.000
In 5.493 5.493 5.493
```

---

2) ## AcCdIn (GGA-PBE)

Data for an optimized crystal structure of AcCdIn.

The structure in extended XYZ format:
```
3
Lattice="3.803 -1.850 3.379 -0.598 0.613 5.345 -1.015 -4.305 3.121" Properties=species:S:1:pos:R:3 pbc="T T T"
Ac 0.000 0.000 0.000
Cd 0.547 -1.385 2.961
In 1.642 -4.156 8.884
```

---

Short version: 2) is the least stable of them.

---

1) ## LiAcCd (GGA-PBE)

Data for an optimized crystal structure of LiAcCd.

The structure in extended XYZ format:
```
3
Lattice="0.000 3.572 3.572 3.572 0.000 3.572 3.572 3.572 0.000" Properties=species:S:1:pos:R:3 pbc="T T T"
Ac 1.786 1.786 1.786
Cd 5.359 5.359 5.359
Li 0.000 0.000 0.000
```

---

2) ## LiAcCd (GGA-PBE)

Data for an optimized crystal structure of LiAcCd.

The structure in extended XYZ format:
```
3
Lattice="0.000 3.755 3.755 3.755 0.000 3.755 3.755 3.755 0.000" Properties=species:S:1:pos:R:3 pbc="T T T"
Ac 0.000 0.000 0.000
Cd 1.878 1.878 1.878
Li 5.633 5.633 5.633
```

---

Short version: 2) is the least stable of them.

---

1) ## AcLuCd (GGA-PBE)

Data for an optimized crystal structure of AcLuCd.

The structure in extended XYZ format:
```
3
Lattice="0.000 3.691 3.691 3.691 0.000 3.691 3.691 3.691 0.000" Properties=species:S:1:pos:R:3 pbc="T T T"
Ac 1.846 1.846 1.846
Cd 5.537 5.537 5.537
Lu 0.000 0.000 0.000
```

---

2) ## AcLuCd (GGA-PBE)

Data for an optimized crystal structure of AcLuCd.

The structure in extended XYZ format:
```
3
Lattice="3.729 -3.647 -1.394 -1.483 -5.042 -1.232 0.306 -1.733 -5.104" Properties=species:S:1:pos:R:3 pbc="T T T"
Ac 0.000 0.000 0.000
Cd 0.638 -2.605 -1.932
Lu 1.914 -7.816 -5.797
```

---

Short version: 2) is the least stable of them.

---

1) ## AcNbCd (GGA-PBE)

Data for an optimized crystal structure of AcNbCd.

The structure in extended XYZ format:
```
3
Lattice="1.910 3.684 2.880 -1.875 0.825 4.617 2.743 -1.151 4.082" Properties=species:S:1:pos:R:3 pbc="T T T"
Ac 1.389 1.679 5.790
Cd 0.000 0.000 0.000
Nb 0.695 0.839 2.895
```

---

2) ## AcNbCd (GGA-PBE)

Data for an optimized crystal structure of AcNbCd.

The structure in extended XYZ format:
```
3
Lattice="-2.494 1.422 4.368 -1.482 4.968 0.664 -5.070 1.261 -0.178" Properties=species:S:1:pos:R:3 pbc="T T T"
Ac 0.000 0.000 0.000
Cd -2.262 1.913 1.214
Nb -6.785 5.738 3.641
```

---

Short version: 2) is the least stable of them.

~~~~~

The following is a DFT calculation (GGA-PBE) of GdNiPt after structural relaxation.

* space-group type: No. 107
* energy above the most stable polymorph in this dataset: 253.0 meV/atom
* magnetization: 7.17 μB/f.u.

```
GdNiPt
1.0
3.498 0.000 0.000
0.000 3.498 0.000
0.000 0.000 9.009
Gd Ni Pt
2 2 2
direct
0.000 0.000 0.000
0.500 0.500 0.500
>>>
*Not useful are hand sanitizers, colloidal silver spray is much better.
Let me break down each one and give my impressions. Deta-Elis: I see this could be helpful if the person responds to the frequency. This device gives off a specific frequency, and helps to get the body back in harmony by getting the organs functioning at a healthy vibration. I get that if you chose to go this route, the organ to focus on is the liver. The liver is what needs the main support in fighting off this illness.
Power Tubes: I don't see this as effective as the Deta-Elis because it looks to be more of a neurological stimulator. Any pain or discomfort resulting from this illness looks to be caused from a muscular standpoint versus nerves.
Hydration: I see hydration helping because it keep the body flushed. If this virus enters the mouth (versus eyes) and stays there it can be absorbed into the lymph nodes. In this scenario both drinking fluids and also oil pulling (in the early stages) can be helpful. You may still experience some symptoms, but the severity looks to be lessened.
Laser Lights: I see this may support the immune system and promote it's function, but I get that other alternatives could prove being more effective.
UV Light: This looks to be a huge help. I see that UV light in general helps to boost the immune system tremendously and promotes faster recovery. UV light in general looks to help sanitize outside environments to reduce the spread in common areas (doors, mailboxes, cars, public transportation, parks, grocery carts corralled outside, etc).
Colloidal Silver: I hear a phrase that colloidal silver is "antibacterial and antimicrobial, but not necessarily antiviral." This can help you prevent getting things such as a cold, flu or sinus infection which lessens your immune system (helps you to stay strong). But, I don't necessarily see it preventing a viral attack.
Vitamin C: Vitamin C is always good. This is great way to improve your body's own defense system to combat any foreign element that made their way in.
MMS: I do see (for some people) this can be very helpful. Be cautious with this. A little can go a long way, and too much can be damaging (too strong). It does look to attack the virus, but if you use too much it can create too many toxins or byproducts of the virus being destroyed and overwork the liver.
Psychic Focus 2020
Sylvia Brown 2008
Psychic Focus 2020
Sylvia Brown 2008